What is needed: search the material further below for the word "on" and type out each line that has it.

- - -
Here is a 2-piece molecular cluster, CH4P2S overall in a non-equilibrium geometry from OMol25. Energies are from ωB97M-V/def2-TZVPD.

Each line ends with the Löwdin charge.
CARTESIAN COORDINATES (ANGSTROEM)
C (0.476, 0.618, -1.170)  -1.202
P (0.263, -0.616, 1.512)  0.434
P (-0.833, 0.387, 0.001)  0.438
S (2.053, 0.565, -0.813)  0.610
H (0.304, 0.905, -2.316)  0.059
H (-0.031, 0.482, 2.359)  -0.141
H (-0.840, -1.261, 1.896)  -0.201
H (-1.391, -1.081, -1.469)  0.002

Values from the calculation:
- Spin multiplicity: 3
- ΔE to the lowest compared entry with this formula, charge and spin: 302.5 kJ/mol
- Expectation value of S²: 2.093
- HOMO energy (alpha / beta): -7.04 / -8.87 eV
- Total energy: -30508.93969 eV

* * * * *

Molecular formula: C24H46Cl2F6N9O4PS4SbTl
Method: DFT, ωB97M-V/def2-TZVPD

The geometry in XYZ format:
```
98
Properties=species:S:1:pos:R:3
Tl -0.733 2.005 -0.237
Sb 0.891 5.955 1.228
Cl 1.503 4.721 -4.375
Cl -0.716 3.240 -3.154
S -6.863 -2.011 -3.324
S -1.383 0.475 2.385
S -0.379 -3.838 -1.126
S 1.269 -1.380 0.446
P 1.275 -2.771 -1.001
F 1.966 7.296 1.995
F 1.058 4.859 2.791
F -0.159 4.557 0.440
F 2.460 5.045 0.650
F 0.767 6.857 -0.422
F -0.666 6.728 1.921
O 2.606 2.348 -0.008
O 2.588 -3.709 -0.859
O 1.544 -2.193 -2.461
O 1.736 1.930 -0.995
N -4.693 -3.404 -3.808
N -3.727 0.428 1.166
N -3.003 3.054 0.159
N -2.902 -1.633 1.740
N -4.534 7.445 0.004
N -2.446 0.528 -1.738
N 2.456 1.482 1.102
N 1.387 1.982 1.870
N -4.097 5.093 -0.602
C 4.834 0.959 0.750
C -5.233 -2.273 -3.336
C 3.074 -4.435 0.292
C 3.797 1.312 1.812
C -3.476 4.092 -0.161
C 2.766 -1.732 -3.086
C 3.692 -0.978 -2.147
C -4.259 -1.290 -2.784
C -4.999 -0.081 0.681
C -2.222 -0.780 -1.648
C -5.995 -0.352 1.808
C 0.681 4.312 -2.861
C 3.621 0.152 2.787
C -2.750 -0.298 1.702
C -1.856 -2.592 2.111
C 4.142 2.616 2.520
C -3.097 -1.725 -2.155
C -4.283 6.338 -0.231
C -3.567 0.953 -2.329
C -4.500 0.080 -2.859
C 3.996 -3.556 1.128
C 1.978 -5.053 1.145
C -1.886 -2.928 3.598
C 3.476 -2.904 -3.741
H 1.329 -5.691 0.549
H 4.932 1.757 0.019
H -3.696 -3.540 -3.831
H 5.797 0.810 1.239
H -2.855 -2.773 -2.025
H -5.404 0.445 -3.327
H 2.402 -1.058 -3.861
H 4.071 3.464 1.837
H -6.165 0.560 2.381
H -3.722 -2.011 1.295
H 3.899 -3.566 -2.985
H 3.185 -0.717 2.288
H -4.855 -0.985 0.079
H -2.853 -3.347 3.889
H 4.286 -2.524 -4.368
H 1.370 3.777 -2.228
H -5.624 -1.117 2.492
H 4.535 -4.175 1.850
H -1.106 -3.656 3.833
H 4.555 0.037 0.231
H 1.581 2.933 2.188
H 4.605 -0.709 -2.684
H -5.402 0.678 0.013
H 1.364 -4.273 1.598
H 2.150 0.557 0.700
H 2.790 -3.481 -4.362
H 5.165 2.552 2.893
H 3.958 -1.616 -1.303
H -1.709 -2.025 4.183
H 3.669 -5.234 -0.153
H -1.305 -1.096 -1.156
H 4.725 -3.051 0.491
H 3.217 -0.071 -1.783
H -5.300 -4.112 -4.180
H -6.945 -0.687 1.387
H 2.985 0.424 3.633
H 1.140 1.348 2.620
H 3.415 -2.807 1.664
H 0.319 5.224 -2.404
H 2.442 -5.649 1.936
H -3.557 1.422 1.036
H 4.599 -0.130 3.177
H -2.004 -3.484 1.505
H -3.715 2.027 -2.359
H -0.895 -2.163 1.847
H 3.487 2.803 3.371
```

Values from the calculation:
Multiplicity: 2
Energy, Eh: -5602.49444
Orbital gap (alpha / beta), eV: 6.96 / 5.44
Total charge: -1
⟨S²⟩: 0.76

* * * * *

The following is a quantum chemistry calculation of a structure of composition C8H18NO8S2 in a non-equilibrium geometry, from OMol25.

Computed properties:
Gap between HOMO and LUMO = 8.419 eV
M = 320.36 g mol⁻¹
Largest force on an atom = 1.3 eV/A
Energy relative to the best compared isomer or geometry (same formula, charge and spin) = 0.0 kcal/mol

The geometry in ORCA input format:
```
! RIJCOSX wB97M-V def2-TZVPD def2/J DEFGRID3
* xyz -1 1
O -2.61 -1.30 2.34
O 0.25 -0.47 -4.18
H -5.82 -2.62 4.17
C -5.26 -1.23 2.63
H -0.71 -0.54 -1.02
H -0.74 0.62 3.06
O 1.39 -1.24 -2.22
H 5.33 -0.41 -3.23
H -0.83 1.93 1.86
C -0.83 0.06 -1.90
H -1.66 -0.34 -2.45
O 1.54 3.12 -1.32
N 1.46 1.24 -2.91
H 3.74 -0.91 -0.72
O 4.53 1.30 -2.55
H 3.93 3.00 -1.72
C 4.49 -0.13 -2.60
H -4.96 -1.98 1.89
C 4.66 -0.82 -1.27
H 3.61 -0.49 -3.10
S 0.67 -0.16 -2.85
H -5.43 -1.00 4.76
- - -

Largest force on an atom = 1.3 eV/A